WWE NXT August 29, 2023 Results, Live Updates, Highlights
Welcome to the live results blog for WWE NXT August 29, 2023 episode which was building up towards NXT No Mercy 2023 event.
NXT Global Heritage Invitational started this week with two matches. Butch faced Charlie Dempsey from group A while Nathan Frazer took on Joe Coffey from Group B. The Creed Brothers battle the Dyad in a steel cage match with their reinstatement to NXT on the line.
A #1 contender match was set for NXT Women’s Championship which is a fatal 4-way match between Roxanne Perez vs Gigi Dolin vs Kiana James vs Blair Davenport. This was the main event of the show. Tune in below as we post results from WWE NXT August 29, 2023, with live updates, winners, highlights and complete action.
- The Creed Brothers(Julius Creed & Brutus Creed) defeated The Dyad(Rip Fowler & Jagger Reid) in a Steel Cage Match via pinfall to get reinstated to NXT.
- Butch defeated Charlie Dempsey in Heritage Global Invitational Group A Match via pinfall.
- Lola Vice & Elektra Lopez defeated Kelani Jordan & Dana Brooke in a tag team match via pinfall.
- Dijak defeated Eddy Thorpe in a singles match via pinfall.
- Joe Coffey defeated Nathan Frazer in Heritage Global Invitational Group B Match via pinfall.
- Roxanne Perez vs Gigi Dolin vs Kiana James vs Blair Davenport – Fatal 4-way #1 Contender Match for NXT Women’s Championship
The Creed Brothers(Julius Creed & Brutus Creed) vs The Dyad(Rip Fowler & Jagger Reid) – Steel Cage Match
Only Julius can get into the ring as an attack from Schism keeps Brutus out of the ring. Brutus is carried to the back by Schism followers at Joe Gacy’s instructions. The cage is shut and Julius has to fight The Dyad alone. They start with double team work. Julius comes back with tackles and clotheslines. He hits a double suplex next. The Dyad get the control back with double team and work on Julius. Julius lands on his the ropes and hits a moonsault to take them down. He hits a double clothesline. He puts on an ankle lock on Fowler and hits a Gutwrench slam on Reid at the same time. Fowler somehow manages to break it up. The Dyad drop Julius on the cage walls face first to take us to a break.
The Dyad are still in control as we return. Brutus is returning to the ring after fighting out the horde of Schism followers. He hits suplexes and tackles to get them down. He chases Joe Gacy now who has the key to the door. When Gacy keeps running. Brutus breaks the door and enter the cage. He hits shoulder tackles and suplexes on The Dyad. He sandwiches The Dyad in between the cage walls and door. Fowler is slammed to the wall with a powerslam. Julius is woken up. They throw Reid into the steel walls a few times. Fowler saves Reid from their finisher and send Julius into Brutus. Julius is sent into the walls. The Dyad try to choke Brutus with the door but he works with Julius to save himself. Julius hosts both opponent on his shoulder as Brutus hits the uppercut on them at the same time from the top rope. The Creed Brothers hit stereo sliding clotheslines to get the pinfall at the same time.
Winners – The Creed Brothers
Between two parts of the page: materials data:
<<<
A | A plane-wave DFT calculation with PBE was carried out for crystalline Pm2TlF at its relaxed geometry.

Structure (extended XYZ):
```
4
Lattice="1.908 1.102 7.786 -1.908 1.102 7.786 0.000 -2.204 7.786" Properties=species:S:1:pos:R:3 pbc="T T T"
Pm 0.000 0.000 5.326
Pm 0.000 0.000 18.032
Tl 0.000 0.000 0.000
F 0.000 0.000 11.679
```

**Symmetry**: R-3m (166)
**Total magnetization**: 0.000 μB per atom



B | A plane-wave DFT calculation with PBE was carried out for crystalline Pm2TlF at its relaxed geometry.

Structure (extended XYZ):
```
4
Lattice="3.409 0.000 0.000 0.000 3.409 0.000 0.000 0.000 8.061" Properties=species:S:1:pos:R:3 pbc="T T T"
Pm 0.000 0.000 1.831
Pm 0.000 0.000 6.230
Tl 1.704 1.704 4.030
F 1.704 1.704 0.000
```

**Symmetry**: P4/mmm (123)
**Total magnetization**: 0.000 μB per atom



Relative energies, in eV/atom, with the most stable structure set to zero: A 0.000; B 0.239.



A | A plane-wave DFT calculation with PBE was carried out for crystalline PmUF6 at its relaxed geometry.

Structure (extended XYZ):
```
8
Lattice="0.000 4.605 4.605 4.605 0.000 4.605 4.605 4.605 0.000" Properties=species:S:1:pos:R:3 pbc="T T T"
Pm 0.000 0.000 0.000
U 4.605 4.605 4.605
F 4.605 4.605 2.275
F 4.605 2.275 4.605
F 6.934 4.605 4.605
F 2.275 4.605 4.605
F 4.605 6.934 4.605
F 4.605 4.605 6.934
```

**Symmetry**: Fm-3m (225)
**Total magnetization**: 0.375 μB per atom



B | A plane-wave DFT calculation with PBE was carried out for crystalline PmUF6 at its relaxed geometry.

Structure (extended XYZ):
```
8
Lattice="2.940 -4.254 0.000 2.940 4.254 0.000 -1.083 0.000 5.849" Properties=species:S:1:pos:R:3 pbc="T T T"
Pm 0.000 0.000 0.000
U 2.398 0.000 2.924
F 1.096 1.366 1.496
F 0.733 0.000 4.511
F 1.096 -1.366 1.496
F 3.700 1.366 4.353
F 4.063 0.000 1.337
F 3.700 -1.366 4.353
```

**Symmetry**: C2/m (12)
**Total magnetization**: 0.375 μB per atom



Relative energies, in eV/atom, with the most stable structure set to zero: A 0.000; B 0.090.



A | A plane-wave DFT calculation with PBE was carried out for crystalline Pm2YF8 at its relaxed geometry.

Structure (extended XYZ):
```
11
Lattice="7.570 -1.872 0.000 7.570 1.872 0.000 -2.037 0.000 5.328" Properties=species:S:1:pos:R:3 pbc="T T T"
Pm 2.290 0.000 0.946
Pm 10.814 0.000 4.382
Y 6.552 0.000 2.664
F 0.043 0.000 1.536
F 1.689 0.000 4.406
F 3.812 0.000 2.876
F 6.019 0.000 0.342
F 7.085 0.000 4.985
F 9.292 0.000 2.451
F 11.415 0.000 0.922
F 13.061 0.000 3.791
```

**Symmetry**: C2/m (12)
**Total magnetization**: 0.091 μB per atom



B | A plane-wave DFT calculation with PBE was carried out for crystalline Pm2YF8 at its relaxed geometry.

Structure (extended XYZ):
```
11
Lattice="6.854 -2.021 0.000 6.854 2.021 0.000 -1.857 0.000 6.877" Properties=species:S:1:pos:R:3 pbc="T T T"
Pm 2.813 0.000 1.627
Pm 9.038 0.000 5.250
Y -0.928 0.000 3.438
F 0.562 0.000 1.792
F 2.130 0.000 4.069
F 2.421 0.000 6.642
F 4.840 0.000 2.824
F 7.012 0.000 4.053
F 9.430 0.000 0.235
F 9.721 0.000 2.808
F 11.289 0.000 5.084
>>>
The materials data stop here:
Ivy Nile celebrates with The Creed Brothers as they are now reinstated to NXT.
We get a video promo from Roxanne Perez saying she would have talked about respect for all 3 of her opponents a few weeks back. But now, she would be lying if she says that. She will do anything to win back NXT Women’s title.
We get the rules for Global Heritage Invitational before the introduction of participants.
Tag Champions The D’Angelo Family are backstage when NXT Champion Carmelo Hayes come in. They talk about how gold matters when the Street Profits appear. Montez Ford tells Hayes they love what he is doing with the title. Carmelo appreciates them and says he needs to erase the asterisk from his record. Tony remembers how the Profits used to run the tag division in NXT. Ford says maybe next time they will check in on the tag titles. A brawl breaks out in the women’s locker room with referees trying to stop them.
Butch vs Charlie Dempsey – Heritage Global Invitational Group A Match
They lock and go for some quick counters on the mat. Dempsey no-sells headbutts. Chain wrestling leads to Dempsey stomping on Butch’s arm. Butch hits a clothesline to drop him after running the ropes. Butch starts his signature joint manipulation. They trade shots off the ropes before Dempsey hits a bridging German suplex to get a two-cout. An uppercut from Butch drops Dempsey. Dempsey comes back with a double underhook suplex. Butch gets to the top rope. Dempsey goes for full nelson suplex off the top rope but Butch lands on his feet. Butch hits Bitter End to get the pinfall.
Winner – Butch
Dragon Lee is interviewed backstage for pinning Dominik Mysterio last week in a tag team match. Lee says we can see that with Rhea out of picture, Dominik can’t win. Mustafa Ali says Lee has lost to Dominik once, and argues that it is his chance to get a title shot.
Ilja Dragunov is in the ring and gives props to Trick Williams for their fight last week. Now, his sight is back on NXT title. Noam Dar interrupts from his lounge. Meta-Four take shots at Dragunov. He replies Dar is just lucky to hold onto the titles. Dar says its not luck. Oro Mensah insults him in German. Lash Legends continues insulting him. Dragunov starts going after Dar. Legends and Dar stop him and Dar says he does not want to destroy Meta-Four lounge. Dar proposes a match next week and Mensah says he will take on Dragunov next week.
Von Wagner cuts a promo backstage with Mr. Stone. He challenges Bron Breakker to fight next week in a No Disqualification match.
Dani Brooke & Kelani Jordan vs Lola Vice & Elektra Lopez
Jordan and Vice start the match. Lopez holds Vice to help block Jordan’s armdrag. Lopez comes in for a double team tackle. She hits a tackle and corner splash. Vice hits a spinning back fist on Jordan who is thrown in by Lopez. Jordan rolls up Vice to get a two-count. A spinning heel kick from Jordan drops Vice. Dana gets the hot tag and hits a springboard tackle on Lopez. She hits short clotheslines before sending Vice into Lopez in the corner for a back splash. Jordan hits an assisted moonsault on Lopez. Vice breaks the pinfall. Dana takes Vice to the floor where Vice whips her into the steel steps. Vice and Lopez double up on Jordan to get the pinfall.
Winners – Lola Vice & Elektra Lopez
Data records from another source follow.
=====
No. 1
Below is a relaxed Tl2Ag2Te2Cl crystal, with properties calculated at the PBE-GGA level.

Geometry as POSCAR:
```
Tl2Ag2Te2Cl
1.0
-1.366 3.395 2.811
-6.674 -1.313 2.132
-1.257 -3.311 7.176
Cl Te Ag Tl
1 2 2 2
direct
0.000 0.000 0.000 Cl
0.210 0.271 0.310 Te
0.790 0.729 0.690 Te
0.762 0.385 0.092 Ag
0.238 0.615 0.908 Ag
0.541 0.222 0.696 Tl
0.459 0.778 0.304 Tl
```

No. 2
Below is a relaxed Tl2AgTeCl6 crystal, with properties calculated at the PBE-GGA level.

Geometry as POSCAR:
```
Tl2AgTeCl6
1.0
7.354 0.000 0.000
0.000 8.162 0.000
0.000 0.000 11.159
Cl Tl Ag Te
12 4 2 2
direct
0.751 0.067 0.500 Cl
0.743 0.514 0.500 Cl
0.257 0.514 0.500 Cl
0.749 0.933 0.000 Cl
0.000 0.802 0.280 Cl
0.500 0.198 0.220 Cl
0.249 0.067 0.500 Cl
0.500 0.198 0.780 Cl
0.251 0.933 0.000 Cl
0.243 0.486 0.000 Cl
0.757 0.486 0.000 Cl
0.000 0.802 0.720 Cl
0.000 0.173 0.271 Tl
0.500 0.827 0.229 Tl
0.500 0.827 0.771 Tl
0.000 0.173 0.729 Tl
0.500 0.218 0.000 Ag
0.000 0.782 0.500 Ag
0.500 0.300 0.500 Te
0.000 0.700 0.000 Te
```

No. 3
Below is a relaxed TlAg2TeCl6 crystal, with properties calculated at the PBE-GGA level.

Geometry as POSCAR:
```
TlAg2TeCl6
1.0
-4.697 2.649 -4.293
0.513 -7.640 1.027
-1.331 -0.089 8.021
Cl Te Ag Tl
6 1 2 1
direct
0.560 0.956 0.736 Cl
0.460 0.038 0.231 Cl
0.747 0.614 0.634 Cl
0.063 0.381 0.151 Cl
0.183 0.203 0.766 Cl
0.794 0.750 0.169 Cl
0.992 0.982 0.974 Te
0.503 0.724 0.315 Ag
0.653 0.338 0.843 Ag
0.012 0.491 0.483 Tl
```

No. 4
Below is a relaxed ZrAg2TeCl crystal, with properties calculated at the PBE-GGA level.

Geometry as POSCAR:
```
ZrAg2TeCl
1.0
-2.044 4.647 -2.457
-2.446 -3.020 -3.676
-4.581 -0.281 3.279
Te Ag Zr Cl
1 2 1 1
direct
0.000 0.500 0.000 Te
0.000 0.000 0.500 Ag
0.500 0.000 0.000 Ag
0.000 0.000 0.000 Zr
0.500 0.500 0.500 Cl
```

No. 5
Below is a relaxed ThAgCl crystal, with properties calculated at the PBE-GGA level.

Geometry as POSCAR:
```
ThAgCl
1.0
-1.603 2.981 -1.232
-1.953 -2.960 0.646
-2.391 4.781 14.682
Ag Cl Th
2 2 2
direct
0.320 0.641 0.000 Ag
0.336 0.673 0.500 Ag
0.336 0.672 0.783 Cl
0.336 0.672 0.217 Cl
0.669 0.338 0.654 Th
0.669 0.338 0.346 Th
```

No. 6
Below is a relaxed ThAg5Cl12 crystal, with properties calculated at the PBE-GGA level.

Geometry as POSCAR:
```
ThAg5Cl12
1.0
-2.175 1.699 6.015
3.564 -2.183 5.546
6.251 11.228 1.957
Ag Cl Th
5 12 1
direct
0.662 0.676 0.000 Ag
0.167 0.666 0.500 Ag
0.500 0.000 0.500 Ag
0.833 0.334 0.500 Ag
0.338 0.324 0.000 Ag
0.055 0.320 0.880 Cl
0.945 0.680 0.120 Cl
0.375 0.680 0.880 Cl
0.486 0.333 0.609 Cl
0.514 0.667 0.391 Cl
0.728 0.000 0.871 Cl
0.820 0.667 0.609 Cl
0.272 0.000 0.129 Cl
0.847 0.000 0.391 Cl
0.625 0.320 0.120 Cl
0.153 0.000 0.609 Cl
0.180 0.333 0.391 Cl
0.000 0.000 0.000 Th
```

No. 7
Below is a relaxed ThAgCl5 crystal, with properties calculated at the PBE-GGA level.

Geometry as POSCAR:
```
ThAgCl5
1.0
-4.306 4.400 3.023
-3.279 -6.439 -3.078
3.775 -2.695 9.301
Ag Cl Th
2 10 2
direct
0.611 0.000 0.250 Ag
0.389 0.000 0.750 Ag
0.576 0.776 0.020 Cl
=====
The entry goes on.
We get a quick promo from Gigi Dolin who says Tiffany Stratton has made a mistake even putting her in the #1 contender match.
Eddy Thorpe vs Dijak
Thorpe attacks Dijak on the floor itself. He hits a running boot as the bell ring. A brainbuster follows from Thorpe to get a two-count. Dijak hits a chokeslam to get a close two-count. Thorpe counters the second chokeslam. Dikaj hits a big shot. Thorpe hits a big spinning kick. Dijak tackles Thorpe and both men are down. Dijak wraps his belt on his hand but Thorpe ducks that punch and sends Dijak into the ring post. He hits a crossbody on the floor. Dijak drives Thorpe into the announce table and throws Thorpe into the chairs. Dijak brings in a chair but misses the shot. Thorpe sends him into the turnbuckle. Dijak hits a loaded punch with his belt when the referee removes the chair. Dijak hits a spinning kick to get the pinfall.
Winner – Dijak
We get a promo from Kiana James taking shots at all 3 opponents in the fatal 4-way match.
Baron Corbin is screaming at some crew member when Bron Breakker comes in asking to get a thank you. Corbin says Breakker’s ego is too much, and he did not need help last week, and Breakker should focus on his match next week.
We see Humberto Carrillo and Angel Garza discussing about a dream then had about their grandpa and how they woke with a ripped mark on their chests. They come to an agreement that they need to start fresh. They rip Los Lotharios shirt. They will return next week.
We get the tribute package for Bray Wyatt.
We get the promo from Blair Davenport saying that she is the only one in fatal 4-way match who has not been champion so far. But, she has beaten up many around the world.
Nathan Frazer vs Joe Coffey – Heritage Global Invitational Group B Match
Coffey throws Frazer away after the lock up. A couple of waistlock takedowns before putting him in a stretch. Frazer tries to come back with quick moves. Wolfgang takes a cheap shot at him from the floor. Coffey hits a German suplex. Coffey keeps control for a while. Frazer sends Coffey to the floor as we cut to a break.
Frazer hits flying clotheslines and running tackles before a neckbreaker to get a two-count. Coffey hits an European uppercut and a Glasgow send-off. He hits a belly-to-back suplex to get a two-count. Frazer trips him to the floor and hits a suicide dive. Frazer hits a springboard frog splash to get a near fall. Frazer hits a superkick but misses a moonsault. Coffey hits a discuss lariat to get the pinfall.
(Between two parts of the page: data records)
-- begin --
1.
Entry from Alexandria: crystalline CuHg2B at its relaxed geometry (PBE).

a = 7.801 Å, b = 7.801 Å, c = 7.801 Å
α = 143.76°, β = 143.76°, γ = 52.19°
Sites, in units of the cell vectors:
Cu  0.000  0.000  0.000
Cu  0.750  0.250  0.500
Hg  0.193  0.625  0.068
Hg  0.375  0.443  0.568
Hg  0.557  0.125  0.932
Hg  0.875  0.807  0.432
B  0.250  0.750  0.500
B  0.500  0.500  0.000



2.
Entry from Alexandria: crystalline LiNpB12 at its relaxed geometry (PBE).

a = 4.110 Å, b = 4.110 Å, c = 8.239 Å
α = 90.00°, β = 90.00°, γ = 90.00°
Sites, in units of the cell vectors:
Li  0.000  0.000  0.000
Np  0.000  0.000  0.500
B  0.200  0.500  0.252
B  0.200  0.500  0.748
B  0.500  0.200  0.252
B  0.500  0.200  0.748
B  0.500  0.500  0.101
B  0.500  0.500  0.401
B  0.500  0.500  0.599
B  0.500  0.500  0.899
B  0.500  0.800  0.252
B  0.500  0.800  0.748
B  0.800  0.500  0.252
B  0.800  0.500  0.748



3.
Entry from Alexandria: crystalline InAg2Pb2 at its relaxed geometry (PBE).

Computed properties:
Energy relative to the lowest polymorph listed for this composition (meV/atom): 79

a = 8.820 Å, b = 8.820 Å, c = 3.348 Å
α = 90.00°, β = 90.00°, γ = 90.00°
Sites, in units of the cell vectors:
In  0.000  0.000  0.000
In  0.500  0.500  0.000
Ag  0.150  0.350  0.500
Ag  0.350  0.850  0.500
Ag  0.650  0.150  0.500
Ag  0.850  0.650  0.500
Pb  0.147  0.647  0.000
Pb  0.353  0.147  0.000
Pb  0.647  0.853  0.000
Pb  0.853  0.353  0.000



| no. | spin magnetization (μB/cell) | VASP energy (eV/atom) | ΔH_f (0 K) (kJ per mole of atoms) |
| --- | --- | --- | --- |
| 1 | 0.00 | -1.8772 | 93.3 |
| 2 | 3.91 | -6.9599 | -16.9 |
| 3 | 0.00 | -3.0232 | 14.3 |

~~~~~

[1]
A relaxed NdC2N3 crystal, computed with GGA-PBE.

Properties
Total magnetization = 0.00 μB per formula unit
DFT total energy = -7.962 eV/atom

a = 4.0893 Å, b = 5.6769 Å, c = 4.4906 Å
α = 129.20°, β = 90.00°, γ = 90.00°
Last column: nearest neighbours and their distance in Å.
Element x y z (fractional)
1 N 0.9269 0.2738 0.0476  1 C 1.22
2 C 0.1703 0.8286 0.1573  2 N 1.22-1.37
3 Nd 0.4707 0.5000 0.5000  4 N 2.44-2.72, 2 C 2.60
4 N 0.3349 0.0000 0.5000  2 C 1.37
5 C 0.1703 0.1714 0.8427  2 N 1.22-1.37
6 N 0.9269 0.7262 0.9524  1 C 1.22

[2]
A relaxed Ce2MgZn crystal, computed with GGA-PBE.

Properties
Energy relative to the elements = -0.0552 eV per atom
Total magnetization = 2.02 μB per formula unit
Energy relative to the lowest polymorph listed for this composition = 14 meV/atom

a = 3.8813 Å, b = 3.8813 Å, c = 6.8219 Å
α = 90.00°, β = 90.00°, γ = 90.00°
Last column: nearest neighbours and their distance in Å.
Element x y z (fractional)
1 Mg 0.5000 0.5000 0.5000  8 Ce 3.38, 2 Zn 3.41
2 Ce 0.0000 0.0000 0.7897  1 Ce 2.87, 4 Zn 3.10
3 Zn 0.5000 0.5000 0.0000  8 Ce 3.10, 2 Mg 3.41
4 Ce 0.0000 0.0000 0.2103  1 Ce 2.87, 4 Zn 3.10

[3]
A relaxed TiBe6Au6 crystal, computed with GGA-PBE.

Properties
Energy relative to the elements = -0.2093 eV per atom
Total magnetization = 0.00 μB per formula unit
-- stop --
Winner – Joe Coffey
Tyler Bate discusses Global Heritage tournament and his history with Butch. He turns his focus on Dabba Kato and challenges him for next week.
Roxanne Perez vs Gigi Dolin vs Kiana James vs Blair Davenport – Fatal 4-way #1 Contender Match for NXT Women’s Championship
Perez and Blair fight in the ring. Dolin and James fight on the floor. Perez drops Blair and decks Dolin off the apron. Blair catches Perez with a punch when she turns around. Perez counters with a hurricanrana. All 4 women get pin attempts in succession. A double pin spot was next. Perez now fights Dolin on the apron. Dolin drops Perez on the apron with an Urinage. Blair hits Dolin with a suplex. James hits a moonsault on Blair. Perez hits a suicide dive on James to take us to a break.
There is a chain of submission in the ring as we return, but Blair breaks it up. Blair takes Perez to the top. James joins them. Dolin brings them down from Tower of Doom. Dolin hits quick kicks on James’ face. She hits a hip attack and dropkick on Blair. Blair drags her into the ropes. James throws her into the steel post. Blair and James trade shots in the ring. Perez gets caught by them in a crossbody but still manage to take them down with hurricanrana. She sets them up in the corner for an uppercut. Blair counters her. Dolin hits a clothesline on Blair.
Perez hits Dolin with a leg sweep. She looks for Pop-Rox on James but Blair hits her with a dropkick. Blair hits a twisting neckbreaker but Dolin breaks the pin. Dolin takes Blair down with more kicks. Perez hits a diving hurricanrana on Dolin. Blair assists Perez in a Pop-Rox on Dolin on the floor. Perez hits a Pop-Rox on Blair in the ring, but Blair rolls to the floor. Perez blocks a move from Dolin. James hits a bulldog on Perez to send her to the floor. James hits a version of codebreaker on Dolin to get the pinfall.
Winner – Kiana James
NXT Women’s Champion Tiffany Stratton comes in and has a face-off with Kiana James.
We see NXT Champion Carmelo Hayes getting into Shawn Michaels’ room to talk. The show goes off the air.